## Data
=====
## 1
Molecular formula: C4H7NO
Method: DFT, the ωB97M-V functional and the def2-TZVPD basis

Each line ends with the Löwdin charge.
Geometry (Å):
1 C -1.56102 -0.44003 0.23674  -0.120
2 C -0.32014 -0.58632 -0.61478  -0.247
3 C 0.08542 0.58495 -1.47103  -0.088
4 N 0.76359 0.23013 -0.25436  -0.092
5 C 1.69318 0.43015 0.58943  -0.164
6 O 1.79212 -0.36469 1.66977  0.060
7 H -1.44245 -0.91332 1.21937  0.059
8 H -2.39654 -0.94634 -0.25534  0.063
9 H -1.86260 0.61104 0.41101  0.070
10 H 1.22964 -1.13993 1.49167  0.114
11 H 0.64025 0.42527 -2.39557  0.096
12 H -0.42657 1.55255 -1.40761  0.106
13 H 2.46799 1.17921 0.47595  0.143

Summary:
HOMO-LUMO gap (spin up / spin down) = 0.2930 / 0.2930 Ha
LUMO level (spin up / spin down) = 0.88 / 0.88 eV
Net charge = 0



## 2
Molecular formula: C4H7NO
Method: DFT, the ωB97M-V functional and the def2-TZVPD basis

Each line ends with the Löwdin charge.
Geometry (Å):
1 C -1.26149 0.23065 -0.96459  -0.103
2 C -0.75020 0.13926 0.31213  -0.181
3 N 0.30619 1.17289 0.70533  0.088
4 C 0.82230 -0.11764 0.90409  -0.258
5 C 1.73156 -0.77003 0.08371  -0.149
6 O 2.04106 -2.09191 -0.20647  -0.092
7 H -1.92415 1.08766 -1.06224  0.098
8 H -0.63099 0.20232 -1.81858  0.078
9 H -1.81241 -0.56949 -1.50857  0.106
10 H -1.39134 -0.08998 1.10166  0.113
11 H 0.09432 1.68422 1.45844  0.054
12 H 0.86813 -0.81092 1.71778  0.138
13 H 1.90704 -0.06705 -0.72269  0.110

Summary:
SMILES = C[C@@H]1N[C@@H]1C=O
HOMO-LUMO gap = 0.3476 Ha
LUMO level = -0.15 eV
Net charge = 0



## 3
Molecular formula: C4H7NO
Method: DFT, the ωB97M-V functional and the def2-TZVPD basis

Each line ends with the Löwdin charge.
Geometry (Å):
1 O 1.94392 -0.54840 0.98282  -0.106
2 C 1.03745 0.52328 -0.13021  -0.057
3 C 0.01317 -0.42772 -0.41394  -0.262
4 C -1.36274 -0.23130 0.20157  -0.215
5 C -2.13956 0.84640 -0.44063  -0.233
6 N -2.71583 1.70738 -0.95701  0.124
7 H 2.77039 -0.85967 0.57190  0.080
8 H 1.80179 0.73976 -0.87514  0.103
9 H 0.85678 1.33982 0.56637  0.109
10 H 1.01750 -1.09581 0.50815  0.127
11 H 0.01448 -0.84788 -1.41909  0.099
12 H -1.28642 0.00720 1.26989  0.118
13 H -1.95092 -1.15306 0.13532  0.112

Summary:
HOMO-LUMO gap = 0.3476 Ha
LUMO level = 0.65 eV
Net charge = 0



## 4
Molecular formula: C4H7NO
Method: DFT, the ωB97M-V functional and the def2-TZVPD basis

Each line ends with the Löwdin charge.
Geometry (Å):
1 C -1.28876 -0.87846 0.20468  -0.115
2 O -0.10470 -1.19404 -0.43371  -0.186
3 C 0.98588 -0.58927 0.25428  -0.186
4 C 0.85266 0.92020 0.14746  -0.300
5 N 0.29487 1.44616 -1.07891  0.025
6 C -0.49869 1.55928 0.00768  -0.037
7 H -1.30013 -1.11374 1.27545  0.087
8 H -2.12931 -1.27288 -0.36619  0.085
9 H 1.00273 -0.91309 1.30925  0.122
10 H 1.89943 -0.94800 -0.23565  0.127
11 H 1.68368 1.49089 0.56426  0.123
12 H 0.15560 0.85669 -1.89324  0.134
13 H -1.55325 0.63627 0.24464  0.121

Summary:
HOMO-LUMO gap = 0.3130 Ha
LUMO level = 0.66 eV
Net charge = 0



3 comes first in stability; the runner-up is 0.362 eV higher.



## 1
Molecular formula: C4H7NO
Method: DFT, the ωB97M-V functional and the def2-TZVPD basis

Each line ends with the Löwdin charge.
Geometry (Å):
1 C -1.07396 -0.88941 -1.05536  0.016
2 N -0.36027 0.46374 -0.28289  -0.145
3 C 0.70152 -0.04781 -0.95104  -0.046
4 C -0.31866 0.53997 1.06515  -0.133
5 C 0.94032 0.85095 1.69639  -0.343
6 O 1.14383 1.01331 2.88976  -0.017
7 H -0.89693 -1.07742 -2.11966  0.079
8 H -2.10562 -0.55832 -0.94406  0.084
9 H -0.88866 -1.78340 -0.45695  0.092
10 H 1.52990 -0.50664 -0.41117  0.102
11 H 0.81317 0.21782 -1.99383  0.096
12 H -1.24640 0.72225 1.60114  0.110
13 H 1.76175 1.05496 0.96251  0.106

Summary:
HOMO-LUMO gap (spin up / spin down) = 0.2671 / 0.2671 Ha
LUMO level (spin up / spin down) = -0.27 / -0.27 eV
Net charge = 0



## 2
Molecular formula: C4H7NO
Method: DFT, the ωB97M-V functional and the def2-TZVPD basis

Each line ends with the Löwdin charge.
Geometry (Å):
1 C 1.59923 -0.35430 0.47886  -0.097
2 C 0.40161 -0.18519 -0.45096  -0.268
3 C -0.72701 -1.19839 -0.15104  -0.061
=====

## Work order
Echo everything above without additions.

## Result
## 1
Molecular formula: C4H7NO
Method: DFT, the ωB97M-V functional and the def2-TZVPD basis

Each line ends with the Löwdin charge.
Geometry (Å):
1 C -1.56102 -0.44003 0.23674  -0.120
2 C -0.32014 -0.58632 -0.61478  -0.247
3 C 0.08542 0.58495 -1.47103  -0.088
4 N 0.76359 0.23013 -0.25436  -0.092
5 C 1.69318 0.43015 0.58943  -0.164
6 O 1.79212 -0.36469 1.66977  0.060
7 H -1.44245 -0.91332 1.21937  0.059
8 H -2.39654 -0.94634 -0.25534  0.063
9 H -1.86260 0.61104 0.41101  0.070
10 H 1.22964 -1.13993 1.49167  0.114
11 H 0.64025 0.42527 -2.39557  0.096
12 H -0.42657 1.55255 -1.40761  0.106
13 H 2.46799 1.17921 0.47595  0.143

Summary:
HOMO-LUMO gap (spin up / spin down) = 0.2930 / 0.2930 Ha
LUMO level (spin up / spin down) = 0.88 / 0.88 eV
Net charge = 0



## 2
Molecular formula: C4H7NO
Method: DFT, the ωB97M-V functional and the def2-TZVPD basis

Each line ends with the Löwdin charge.
Geometry (Å):
1 C -1.26149 0.23065 -0.96459  -0.103
2 C -0.75020 0.13926 0.31213  -0.181
3 N 0.30619 1.17289 0.70533  0.088
4 C 0.82230 -0.11764 0.90409  -0.258
5 C 1.73156 -0.77003 0.08371  -0.149
6 O 2.04106 -2.09191 -0.20647  -0.092
7 H -1.92415 1.08766 -1.06224  0.098
8 H -0.63099 0.20232 -1.81858  0.078
9 H -1.81241 -0.56949 -1.50857  0.106
10 H -1.39134 -0.08998 1.10166  0.113
11 H 0.09432 1.68422 1.45844  0.054
12 H 0.86813 -0.81092 1.71778  0.138
13 H 1.90704 -0.06705 -0.72269  0.110

Summary:
SMILES = C[C@@H]1N[C@@H]1C=O
HOMO-LUMO gap = 0.3476 Ha
LUMO level = -0.15 eV
Net charge = 0



## 3
Molecular formula: C4H7NO
Method: DFT, the ωB97M-V functional and the def2-TZVPD basis

Each line ends with the Löwdin charge.
Geometry (Å):
1 O 1.94392 -0.54840 0.98282  -0.106
2 C 1.03745 0.52328 -0.13021  -0.057
3 C 0.01317 -0.42772 -0.41394  -0.262
4 C -1.36274 -0.23130 0.20157  -0.215
5 C -2.13956 0.84640 -0.44063  -0.233
6 N -2.71583 1.70738 -0.95701  0.124
7 H 2.77039 -0.85967 0.57190  0.080
8 H 1.80179 0.73976 -0.87514  0.103
9 H 0.85678 1.33982 0.56637  0.109
10 H 1.01750 -1.09581 0.50815  0.127
11 H 0.01448 -0.84788 -1.41909  0.099
12 H -1.28642 0.00720 1.26989  0.118
13 H -1.95092 -1.15306 0.13532  0.112

Summary:
HOMO-LUMO gap = 0.3476 Ha
LUMO level = 0.65 eV
Net charge = 0



## 4
Molecular formula: C4H7NO
Method: DFT, the ωB97M-V functional and the def2-TZVPD basis

Each line ends with the Löwdin charge.
Geometry (Å):
1 C -1.28876 -0.87846 0.20468  -0.115
2 O -0.10470 -1.19404 -0.43371  -0.186
3 C 0.98588 -0.58927 0.25428  -0.186
4 C 0.85266 0.92020 0.14746  -0.300
5 N 0.29487 1.44616 -1.07891  0.025
6 C -0.49869 1.55928 0.00768  -0.037
7 H -1.30013 -1.11374 1.27545  0.087
8 H -2.12931 -1.27288 -0.36619  0.085
9 H 1.00273 -0.91309 1.30925  0.122
10 H 1.89943 -0.94800 -0.23565  0.127
11 H 1.68368 1.49089 0.56426  0.123
12 H 0.15560 0.85669 -1.89324  0.134
13 H -1.55325 0.63627 0.24464  0.121

Summary:
HOMO-LUMO gap = 0.3130 Ha
LUMO level = 0.66 eV
Net charge = 0



3 comes first in stability; the runner-up is 0.362 eV higher.



## 1
Molecular formula: C4H7NO
Method: DFT, the ωB97M-V functional and the def2-TZVPD basis

Each line ends with the Löwdin charge.
Geometry (Å):
1 C -1.07396 -0.88941 -1.05536  0.016
2 N -0.36027 0.46374 -0.28289  -0.145
3 C 0.70152 -0.04781 -0.95104  -0.046
4 C -0.31866 0.53997 1.06515  -0.133
5 C 0.94032 0.85095 1.69639  -0.343
6 O 1.14383 1.01331 2.88976  -0.017
7 H -0.89693 -1.07742 -2.11966  0.079
8 H -2.10562 -0.55832 -0.94406  0.084
9 H -0.88866 -1.78340 -0.45695  0.092
10 H 1.52990 -0.50664 -0.41117  0.102
11 H 0.81317 0.21782 -1.99383  0.096
12 H -1.24640 0.72225 1.60114  0.110
13 H 1.76175 1.05496 0.96251  0.106

Summary:
HOMO-LUMO gap (spin up / spin down) = 0.2671 / 0.2671 Ha
LUMO level (spin up / spin down) = -0.27 / -0.27 eV
Net charge = 0



## 2
Molecular formula: C4H7NO
Method: DFT, the ωB97M-V functional and the def2-TZVPD basis

Each line ends with the Löwdin charge.
Geometry (Å):
1 C 1.59923 -0.35430 0.47886  -0.097
2 C 0.40161 -0.18519 -0.45096  -0.268
3 C -0.72701 -1.19839 -0.15104  -0.061